What to do
The reader should give back everything underneath unchanged.

Entries
No. 1
Starting from a DFT-relaxed cell (PBE+U, the Materials Project), the powder diffraction line list of Li3CrFe4O8 was computed for a wavelength of 1.5418 Å.

Atomic structure:
a b c (Å): 5.9967 5.9967 6.0703
angles (deg): 120.12 120.12 59.98
Element x y z (fractional)
Li (0.0000, 0.0000, 0.0000)
Li (0.0000, 0.5000, 0.5000)
Li (0.5000, 0.0000, 0.5000)
Cr (0.5000, 0.5000, 0.5000)
Fe (0.0000, 0.0000, 0.5000)
Fe (0.0000, 0.5000, 0.0000)
Fe (0.5000, 0.0000, 0.0000)
Fe (0.5000, 0.5000, 0.0000)
O (0.2477, 0.2477, 0.7540)
O (0.2483, 0.7479, 0.7296)
O (0.2521, 0.7517, 0.2704)
O (0.2607, 0.2607, 0.2429)
O (0.7393, 0.7393, 0.7571)
O (0.7479, 0.2483, 0.7296)
O (0.7517, 0.2521, 0.2704)
O (0.7523, 0.7523, 0.2460)

Principal peaks in the range 10 to 90 degrees two-theta, low angle first:
18.05 deg, intensity 91.1
35.00 deg, intensity 36.3
36.32 deg, intensity 13.2
36.53 deg, intensity 13.2
36.74 deg, intensity 25.1
42.38 deg, intensity 100.0
42.72 deg, intensity 49.0
61.06 deg, intensity 13.9
61.60 deg, intensity 27.8
61.90 deg, intensity 40.8

No. 2
Starting from a DFT-relaxed cell (PBE+U, the Materials Project), the powder diffraction line list of Na5Fe3F14 was computed for a wavelength of 1.5418 Å.

Atomic structure:
a b c (Å): 7.5287 7.4288 12.8786
angles (deg): 90.00 124.78 90.00
Element x y z (fractional)
Na (0.0000, 0.0000, 0.0000)
Na (0.0000, 0.5000, 0.5000)
Na (0.0108, 0.2457, 0.7383)
Na (0.0108, 0.2543, 0.2383)
Na (0.4944, 0.6985, 0.2525)
Na (0.4944, 0.8015, 0.7525)
Na (0.5056, 0.1985, 0.2475)
Na (0.5056, 0.3015, 0.7475)
Na (0.9892, 0.7457, 0.7617)
Na (0.9892, 0.7543, 0.2617)
Fe (0.0000, 0.0000, 0.5000)
Fe (0.0000, 0.5000, 0.0000)
Fe (0.5000, 0.0000, 0.0000)
Fe (0.5000, 0.0000, 0.5000)
Fe (0.5000, 0.5000, 0.0000)
Fe (0.5000, 0.5000, 0.5000)
F (0.1139, 0.6625, 0.1428)
F (0.1139, 0.8375, 0.6428)
F (0.1441, 0.2087, 0.6090)
F (0.1441, 0.2913, 0.1090)
F (0.1847, 0.0058, 0.8816)
F (0.1847, 0.4942, 0.3816)
F (0.2494, 0.5735, 0.9972)
F (0.2494, 0.9265, 0.4972)
F (0.3125, 0.0596, 0.3241)
F (0.3125, 0.4404, 0.8241)
F (0.4512, 0.5640, 0.6283)
F (0.4512, 0.9360, 0.1283)
F (0.4934, 0.2473, 0.5538)
F (0.4934, 0.2527, 0.0538)
F (0.5066, 0.7473, 0.9462)
F (0.5066, 0.7527, 0.4462)
F (0.5488, 0.0640, 0.8717)
F (0.5488, 0.4360, 0.3717)
F (0.6875, 0.5596, 0.1759)
F (0.6875, 0.9404, 0.6759)
F (0.7506, 0.0735, 0.5028)
F (0.7506, 0.4265, 0.0028)
F (0.8153, 0.5058, 0.6184)
F (0.8153, 0.9942, 0.1184)
F (0.8559, 0.7087, 0.8910)
F (0.8559, 0.7913, 0.3910)
F (0.8861, 0.1625, 0.3572)
F (0.8861, 0.3375, 0.8572)

Principal peaks in the range 10 to 90 degrees two-theta, low angle first:
14.57 deg, intensity 25.3
16.76 deg, intensity 64.0
23.64 deg, intensity 26.8
23.95 deg, intensity 22.8
28.88 deg, intensity 40.0
29.38 deg, intensity 100.0
33.90 deg, intensity 31.3
48.38 deg, intensity 45.3
49.03 deg, intensity 40.2
57.90 deg, intensity 36.9

No. 3
Starting from a DFT-relaxed cell (PBE+U, the Materials Project), the powder diffraction line list of KSrGdWO6 was computed for a wavelength of 1.5418 Å.

Atomic structure:
a b c (Å): 8.3992 8.4005 8.4215
angles (deg): 90.00 90.00 90.00
Element x y z (fractional)
K (0.2500, 0.2500, 0.2500)
K (0.2500, 0.7500, 0.2500)
K (0.7500, 0.2500, 0.7500)
K (0.7500, 0.7500, 0.7500)
Sr (0.2500, 0.2500, 0.7500)
Sr (0.2500, 0.7500, 0.7500)
Sr (0.7500, 0.2500, 0.2500)
Sr (0.7500, 0.7500, 0.2500)
Gd (0.0000, 0.0000, 0.0000)
Gd (0.0000, 0.5000, 0.5000)
Gd (0.5000, 0.0000, 0.5000)
Gd (0.5000, 0.5000, 0.0000)
W (0.0000, 0.0000, 0.5000)
W (0.0000, 0.5000, 0.0000)
W (0.5000, 0.0000, 0.0000)
W (0.5000, 0.5000, 0.5000)
O (0.0201, 0.2302, 0.4769)
O (0.0201, 0.2698, 0.0231)
O (0.0338, 0.0218, 0.7310)
O (0.0338, 0.4782, 0.7690)
O (0.2300, 0.5246, 0.0144)
O (0.2300, 0.9754, 0.4856)
O (0.2700, 0.5246, 0.4856)
O (0.2700, 0.9754, 0.0144)
O (0.4662, 0.0218, 0.7690)
O (0.4662, 0.4782, 0.7310)
O (0.4799, 0.2302, 0.0231)
O (0.4799, 0.2698, 0.4769)
O (0.5201, 0.7302, 0.5231)
O (0.5201, 0.7698, 0.9769)
O (0.5338, 0.5218, 0.2690)

Worked solution
No. 1
Starting from a DFT-relaxed cell (PBE+U, the Materials Project), the powder diffraction line list of Li3CrFe4O8 was computed for a wavelength of 1.5418 Å.

Atomic structure:
a b c (Å): 5.9967 5.9967 6.0703
angles (deg): 120.12 120.12 59.98
Element x y z (fractional)
Li (0.0000, 0.0000, 0.0000)
Li (0.0000, 0.5000, 0.5000)
Li (0.5000, 0.0000, 0.5000)
Cr (0.5000, 0.5000, 0.5000)
Fe (0.0000, 0.0000, 0.5000)
Fe (0.0000, 0.5000, 0.0000)
Fe (0.5000, 0.0000, 0.0000)
Fe (0.5000, 0.5000, 0.0000)
O (0.2477, 0.2477, 0.7540)
O (0.2483, 0.7479, 0.7296)
O (0.2521, 0.7517, 0.2704)
O (0.2607, 0.2607, 0.2429)
O (0.7393, 0.7393, 0.7571)
O (0.7479, 0.2483, 0.7296)
O (0.7517, 0.2521, 0.2704)
O (0.7523, 0.7523, 0.2460)

Principal peaks in the range 10 to 90 degrees two-theta, low angle first:
18.05 deg, intensity 91.1
35.00 deg, intensity 36.3
36.32 deg, intensity 13.2
36.53 deg, intensity 13.2
36.74 deg, intensity 25.1
42.38 deg, intensity 100.0
42.72 deg, intensity 49.0
61.06 deg, intensity 13.9
61.60 deg, intensity 27.8
61.90 deg, intensity 40.8

No. 2
Starting from a DFT-relaxed cell (PBE+U, the Materials Project), the powder diffraction line list of Na5Fe3F14 was computed for a wavelength of 1.5418 Å.

Atomic structure:
a b c (Å): 7.5287 7.4288 12.8786
angles (deg): 90.00 124.78 90.00
Element x y z (fractional)
Na (0.0000, 0.0000, 0.0000)
Na (0.0000, 0.5000, 0.5000)
Na (0.0108, 0.2457, 0.7383)
Na (0.0108, 0.2543, 0.2383)
Na (0.4944, 0.6985, 0.2525)
Na (0.4944, 0.8015, 0.7525)
Na (0.5056, 0.1985, 0.2475)
Na (0.5056, 0.3015, 0.7475)
Na (0.9892, 0.7457, 0.7617)
Na (0.9892, 0.7543, 0.2617)
Fe (0.0000, 0.0000, 0.5000)
Fe (0.0000, 0.5000, 0.0000)
Fe (0.5000, 0.0000, 0.0000)
Fe (0.5000, 0.0000, 0.5000)
Fe (0.5000, 0.5000, 0.0000)
Fe (0.5000, 0.5000, 0.5000)
F (0.1139, 0.6625, 0.1428)
F (0.1139, 0.8375, 0.6428)
F (0.1441, 0.2087, 0.6090)
F (0.1441, 0.2913, 0.1090)
F (0.1847, 0.0058, 0.8816)
F (0.1847, 0.4942, 0.3816)
F (0.2494, 0.5735, 0.9972)
F (0.2494, 0.9265, 0.4972)
F (0.3125, 0.0596, 0.3241)
F (0.3125, 0.4404, 0.8241)
F (0.4512, 0.5640, 0.6283)
F (0.4512, 0.9360, 0.1283)
F (0.4934, 0.2473, 0.5538)
F (0.4934, 0.2527, 0.0538)
F (0.5066, 0.7473, 0.9462)
F (0.5066, 0.7527, 0.4462)
F (0.5488, 0.0640, 0.8717)
F (0.5488, 0.4360, 0.3717)
F (0.6875, 0.5596, 0.1759)
F (0.6875, 0.9404, 0.6759)
F (0.7506, 0.0735, 0.5028)
F (0.7506, 0.4265, 0.0028)
F (0.8153, 0.5058, 0.6184)
F (0.8153, 0.9942, 0.1184)
F (0.8559, 0.7087, 0.8910)
F (0.8559, 0.7913, 0.3910)
F (0.8861, 0.1625, 0.3572)
F (0.8861, 0.3375, 0.8572)

Principal peaks in the range 10 to 90 degrees two-theta, low angle first:
14.57 deg, intensity 25.3
16.76 deg, intensity 64.0
23.64 deg, intensity 26.8
23.95 deg, intensity 22.8
28.88 deg, intensity 40.0
29.38 deg, intensity 100.0
33.90 deg, intensity 31.3
48.38 deg, intensity 45.3
49.03 deg, intensity 40.2
57.90 deg, intensity 36.9

No. 3
Starting from a DFT-relaxed cell (PBE+U, the Materials Project), the powder diffraction line list of KSrGdWO6 was computed for a wavelength of 1.5418 Å.

Atomic structure:
a b c (Å): 8.3992 8.4005 8.4215
angles (deg): 90.00 90.00 90.00
Element x y z (fractional)
K (0.2500, 0.2500, 0.2500)
K (0.2500, 0.7500, 0.2500)
K (0.7500, 0.2500, 0.7500)
K (0.7500, 0.7500, 0.7500)
Sr (0.2500, 0.2500, 0.7500)
Sr (0.2500, 0.7500, 0.7500)
Sr (0.7500, 0.2500, 0.2500)
Sr (0.7500, 0.7500, 0.2500)
Gd (0.0000, 0.0000, 0.0000)
Gd (0.0000, 0.5000, 0.5000)
Gd (0.5000, 0.0000, 0.5000)
Gd (0.5000, 0.5000, 0.0000)
W (0.0000, 0.0000, 0.5000)
W (0.0000, 0.5000, 0.0000)
W (0.5000, 0.0000, 0.0000)
W (0.5000, 0.5000, 0.5000)
O (0.0201, 0.2302, 0.4769)
O (0.0201, 0.2698, 0.0231)
O (0.0338, 0.0218, 0.7310)
O (0.0338, 0.4782, 0.7690)
O (0.2300, 0.5246, 0.0144)
O (0.2300, 0.9754, 0.4856)
O (0.2700, 0.5246, 0.4856)
O (0.2700, 0.9754, 0.0144)
O (0.4662, 0.0218, 0.7690)
O (0.4662, 0.4782, 0.7310)
O (0.4799, 0.2302, 0.0231)
O (0.4799, 0.2698, 0.4769)
O (0.5201, 0.7302, 0.5231)
O (0.5201, 0.7698, 0.9769)
O (0.5338, 0.5218, 0.2690)